mainHeader – World English Scrabble Players Association (WESPA)


Nethuka Sathsilu


Sri Lanka

Nethuka Sathsilu

Rating: 1450
Games Played: 18
Wins: 8 (44.44%)
Losses: 10 (55.56%)
Draws: 0 (0.00%)

Average Score: 357.89
Average Against: 385.56

/*
Material: LuIn2Ge
Method: DFT, PBE-GGA
State: relaxed

Output
Crystal system: tetragonal
Formation enthalpy at 0 K in eV/f.u.: -1.30
Total DFT energy (no corrections) in eV for the cell shown: -15.9
E above lowest polymorph in kcal/mol of atoms: 0.00
M_tot in Bohr magnetons per cell: 0.00

Unit cell a=4.2999 b=4.2999 c=4.9170 alpha=90.00 beta=90.00 gamma=90.00
Last column: nearest neighbours and their distance in Å.
Space group P4/mmm (No. 123)
Symmetry-distinct sites (fractional):
Lu (0.0000, 0.0000, 0.0000) [1 per cell]  4 Ge 3.04, 8 In 3.27
In (0.0000, 0.5000, 0.5000) [2 per cell]  4 In 3.04, 4 Ge 3.27, 4 Lu 3.27
Ge (0.5000, 0.5000, 0.0000) [1 per cell]  4 Lu 3.04, 8 In 3.27

=====

Material: Lu2InGe
Method: DFT, PBE-GGA
State: relaxed

Output
Crystal system: trigonal
Formation enthalpy at 0 K in eV/f.u.: -1.78
Total DFT energy (no corrections) in eV for the cell shown: -54.5
M_tot in Bohr magnetons per cell: 0.00

Unit cell a=3.7384 b=3.7384 c=25.3816 alpha=90.00 beta=90.00 gamma=120.00
Last column: nearest neighbours and their distance in Å.
Space group R-3m (No. 166, hexagonal axes)
Symmetry-distinct sites (fractional):
Lu (0.0000, 0.0000, 0.2395) [6 per cell]  3 Ge 2.84
In (0.0000, 0.0000, 0.0000) [3 per cell]  6 Lu 3.22
Ge (0.0000, 0.0000, 0.5000) [3 per cell]  6 Lu 2.84

=====

Which value of M_tot does entry 1 give?
0.00 Bohr magnetons per cell

=====

Which value of total DFT energy (no corrections) does entry 2 give?
-54.5 eV for the cell shown

=====

total DFT energy (no corrections) of number 1 (LuIn2Ge)?
-15.9 eV for the cell shown

=====

Look up the formation enthalpy at 0 K of the second one.
-1.78 eV/f.u.

* * * * *

A plane-wave DFT calculation with PBEsol was carried out for crystalline BeFeRh at its relaxed geometry.

Structure (extended XYZ):
```
3
Lattice="2.692 0.000 0.000 0.000 2.692 0.000 -1.346 -1.346 4.382" Properties=species:S:1:pos:R:3 pbc="T T T"
Be 0.000 0.000 0.014
Fe 1.346 1.346 1.346
Rh 0.000 0.000 3.023
```

Summary:
The formation energy is -0.232 eV/atom.


A plane-wave DFT calculation with PBEsol was carried out for crystalline Be4FeRh at its relaxed geometry.

Structure (extended XYZ):
```
6
Lattice="4.219 0.000 0.000 2.109 3.654 0.000 2.109 1.218 3.445" Properties=species:S:1:pos:R:3 pbc="T T T"
Fe 6.328 3.654 2.584
Be 5.266 1.831 1.295
Be 4.219 3.644 1.295
Be 3.172 1.831 1.295
Be 4.219 2.436 3.004
Rh 0.000 0.000 0.000
```

Summary:
The formation energy is -0.358 eV/atom.


A plane-wave DFT calculation with PBEsol was carried out for crystalline BeFe2Rh at its relaxed geometry.

Structure (extended XYZ):
```
4
Lattice="-2.442 -0.289 -0.678 -0.704 -2.008 -1.408 -2.384 -4.910 5.884" Properties=species:S:1:pos:R:3 pbc="T T T"
Fe -1.358 -1.726 0.829
Fe -4.172 -5.481 2.968
Be 0.000 0.000 0.000
Rh -2.765 -3.604 1.899
```

Summary:
The formation energy is 0.083 eV/atom.


A plane-wave DFT calculation with PBEsol was carried out for crystalline BeFe2Rh at its relaxed geometry.

Structure (extended XYZ):
```
4
*/

300- Games: 5 (27.78%)
300 Games: 8 (44.44%)
400 Games: 5 (27.78%)
500 Games: 0 (0.00%)
600+ Games: 0 (0.00%)

High Game: 491 (vs Imad Irshad)
Low Game: 265 (vs Nimaya Samarathunga)
Biggest Win: 192 (vs Sonal Hettiarachchi)
High Loss: 391 (vs Sandev Herath)
Low Win: 363 (vs Dinadi Niriella)

Details#DateTournamentWinsLossesByesSpreadPlaceStart RatingEnd RatingRating ChangeStart DeviationEnd Deviation
12023-01-22Sri Lanka Scrabbler of the Year - Leg 18100-49835145014500300133
RoundOpponentOpponent RatingResultScores
1Pasindu Malawaraarac1610L296502
2Sandanindu Batheegama1628W383377
3Dinadi Niriella1348W363289
4Ilham Irshad1646L278445
5Pasindu Wijewardena1429W412275
6Nimaya Samarathunga1519L265448
7Chanul Edirisinghe1535L353457
8Kyaan Perera1583W435389
9Kithnuli Amarasinghe1441W419357
10Farida Akbarally1548L323532
11Imad Irshad1539W491427
12Nishanya Gammanpila1585L340386
13Lalantha Amarasinghe1528L293343
14S Saravanakayan1328W379349
15Dinadi Niriella1348L311338
16Sonal Hettiarachchi1415W425233
17Sandev Herath1438L391405
18Ruchitha Gurugamage1465L285388
Average: 357.89 385.56
DetailsOpponentRatingGamesWinsLossesDrawsPctAverage ForAverage Against
1Dinadi Niriella137221100.50337.00313.50
DateTournamentRoundResultRatingOpponent RatingScore
2023-01-22Sri Lanka Scrabbler of the Year - Leg 13W14501348363289
2023-01-22Sri Lanka Scrabbler of the Year - Leg 115L14501348311338
Average: 337.00 313.50
2Kithnuli Amarasinghe145211001.00419.00357.00
DateTournamentRoundResultRatingOpponent RatingScore
2023-01-22Sri Lanka Scrabbler of the Year - Leg 19W14501441419357
Average: 419.00 357.00
3Lalantha Amarasinghe143310100.00293.00343.00
DateTournamentRoundResultRatingOpponent RatingScore
2023-01-22Sri Lanka Scrabbler of the Year - Leg 113L14501528293343
Average: 293.00 343.00
4Pasindu Malawaraarac155710100.00296.00502.00
DateTournamentRoundResultRatingOpponent RatingScore
2023-01-22Sri Lanka Scrabbler of the Year - Leg 11L14501610296502
Average: 296.00 502.00
5Sonal Hettiarachchi141511001.00425.00233.00
DateTournamentRoundResultRatingOpponent RatingScore
2023-01-22Sri Lanka Scrabbler of the Year - Leg 116W14501415425233
Average: 425.00 233.00
6Farida Akbarally141010100.00323.00532.00
DateTournamentRoundResultRatingOpponent RatingScore
2023-01-22Sri Lanka Scrabbler of the Year - Leg 110L14501548323532
Average: 323.00 532.00
7Nimaya Samarathunga151910100.00265.00448.00
DateTournamentRoundResultRatingOpponent RatingScore
2023-01-22Sri Lanka Scrabbler of the Year - Leg 16L14501519265448
Average: 265.00 448.00
8Ilham Irshad168410100.00278.00445.00
DateTournamentRoundResultRatingOpponent RatingScore
2023-01-22Sri Lanka Scrabbler of the Year - Leg 14L14501646278445
Average: 278.00 445.00
9Nishanya Gammanpila163210100.00340.00386.00
DateTournamentRoundResultRatingOpponent RatingScore
2023-01-22Sri Lanka Scrabbler of the Year - Leg 112L14501585340386
Average: 340.00 386.00
10Ruchitha Gurugamage146810100.00285.00388.00
DateTournamentRoundResultRatingOpponent RatingScore
2023-01-22Sri Lanka Scrabbler of the Year - Leg 118L14501465285388
Average: 285.00 388.00
11S Saravanakayan132811001.00379.00349.00
DateTournamentRoundResultRatingOpponent RatingScore
2023-01-22Sri Lanka Scrabbler of the Year - Leg 114W14501328379349
Average: 379.00 349.00
12Sandev Herath149710100.00391.00405.00
DateTournamentRoundResultRatingOpponent RatingScore
2023-01-22Sri Lanka Scrabbler of the Year - Leg 117L14501438391405
Average: 391.00 405.00
13Pasindu Wijewardena154211001.00412.00275.00
DateTournamentRoundResultRatingOpponent RatingScore
2023-01-22Sri Lanka Scrabbler of the Year - Leg 15W14501429412275
Average: 412.00 275.00
14Imad Irshad159011001.00491.00427.00
DateTournamentRoundResultRatingOpponent RatingScore
2023-01-22Sri Lanka Scrabbler of the Year - Leg 111W14501539491427
Average: 491.00 427.00
15Chanul Edirisinghe158410100.00353.00457.00
DateTournamentRoundResultRatingOpponent RatingScore
2023-01-22Sri Lanka Scrabbler of the Year - Leg 17L14501535353457
Average: 353.00 457.00
16Sandanindu Batheegama158311001.00383.00377.00
DateTournamentRoundResultRatingOpponent RatingScore
2023-01-22Sri Lanka Scrabbler of the Year - Leg 12W14501628383377
Average: 383.00 377.00
17Kyaan Perera146911001.00435.00389.00
DateTournamentRoundResultRatingOpponent RatingScore
2023-01-22Sri Lanka Scrabbler of the Year - Leg 18W14501583435389
Average: 435.00 389.00